lol. alright, so this chapter is a bit strange and it is meant to be so. If you read this, you must read the second chapter too. :)

It was a bright warm spring day, and Narpunzel was braiding his long blond hair. It was, in fact, his thirteenth birthday.

"La la la la la," he sang as he ran his mother-of-pearl comb through the end of his golden locks.

"My love?" A voice called.

Narpunzel looked toward the open window. "Hm?" He lifted his soft blue dress so he could walk. "Who beckons for me?"

"It is I, your true love. Throw down your long hair that I may climb it and rescue you from your tall prison."

Narpunzel's breath caught. He leaned out the window. "Here, it is coming!" He dropped his hair out the window. He felt a slight tug as his rescuer began his ascent.

A few moments later a silhouette became visible above the trees. At first all Narpunzel could see was a few shiny locks of hair. Then, an emerald vest.

The man almost hit a loose stone.

"Be careful!" Narpunzel gasped.

The man looked up. "I am all right."

Narpunzel froze. The person looking up at her had huge buggy eyes… and a bowl cut.

**Data records, kept here for reference**
# 1
This record from the OMol25 dataset describes a molecular structure, C26H22AuCl2NO4Sb. The level of theory is ωB97M-V/def2-TZVPD.

Each line ends with the natural charge from an NBO analysis.
Cartesian coordinates (Å):
1 Au 0.0918 -1.1597 1.2204  0.86
2 O -3.2729 -2.8192 3.6697  -0.62
3 C -2.2851 -2.2473 3.0229  0.78
4 O -2.1271 -2.2899 1.8226  -0.62
5 C -1.3566 -1.5043 3.9510  0.09
6 C -1.5780 -1.5041 5.3200  -0.15
7 C -0.6984 -0.8094 6.1310  -0.10
8 C 0.3579 -0.1324 5.5424  -0.17
9 C 0.5169 -0.1740 4.1658  0.08
10 N -0.3291 -0.8612 3.3848  -0.49
11 C 1.6367 0.5554 3.4451  0.79
12 O 2.4980 1.2623 4.1403  -0.60
13 O 1.7444 0.5025 2.2417  -0.63
14 H -3.8501 -3.3123 3.0620  0.53
15 H -2.4209 -2.0399 5.7303  0.28
16 H -0.8324 -0.7917 7.2043  0.27
17 H 1.0396 0.4118 6.1811  0.24
18 H 2.3717 1.2593 5.0976  0.51
19 Cl -3.1883 2.1905 -2.0411  0.07
20 C -3.0841 2.4128 -0.3186  -0.36
21 Cl -1.9999 1.1452 0.4610  0.02
22 H -4.0529 2.2564 0.1435  0.27
23 H -2.6459 3.3716 -0.0666  0.26
24 C -1.8342 -0.3372 -5.6464  -0.12
25 C -2.3461 -1.1277 -4.6191  -0.18
26 C -1.8901 -0.9630 -3.3235  -0.16
27 C -0.9169 0.0063 -3.0904  -0.45
28 C -0.4083 0.8256 -4.0978  -0.22
29 C -0.8701 0.6287 -5.3921  -0.18
30 Sb -0.0044 0.2769 -1.2397  1.91
31 C 0.9129 -1.6080 -0.6920  -0.63
32 C 0.2809 -2.7837 -1.1782  -0.10
33 C 1.0446 -3.8969 -1.4468  -0.21
34 C 2.4285 -3.8533 -1.2664  -0.06
35 C 3.0632 -2.7064 -0.7962  -0.21
36 C 2.3214 -1.5807 -0.5015  -0.15
37 C 1.0527 2.0576 -1.0486  -0.36
38 C 2.2664 2.1517 -0.3704  -0.23
39 C 2.9045 3.3815 -0.3276  -0.17
40 C 2.3302 4.4908 -0.9346  -0.12
41 C 1.1061 4.3897 -1.5892  -0.19
42 C 0.4547 3.1705 -1.6500  -0.25
43 H -2.1963 -0.4767 -6.6565  0.26
44 H -3.1046 -1.8693 -4.8295  0.26
45 H -2.3091 -1.5614 -2.5250  0.22
46 H 0.3391 1.5844 -3.9044  0.24
47 H -0.4777 1.2380 -6.1948  0.26
48 H -0.7902 -2.8122 -1.3285  0.23
49 H 0.5723 -4.8022 -1.8037  0.26
50 H 3.0201 -4.7309 -1.4947  0.26
51 H 4.1354 -2.6949 -0.6547  0.27
52 H 2.8101 -0.7009 -0.1121  0.25
53 H 2.7074 1.3133 0.1436  0.24
54 H 3.8515 3.4704 0.1870  0.25
55 H 2.8376 5.4455 -0.8946  0.26
56 H 0.6643 5.2585 -2.0582  0.26
57 H -0.4911 3.0936 -2.1746  0.23

## Properties
Net charge: +3
LUMO: -10.95 eV



# 2
This record from the OMol25 dataset describes a molecular structure, C26H22Cl4CrN6O2S3Te at a distorted geometry. The level of theory is ωB97M-V/def2-TZVPD.

Each line ends with the natural charge from an NBO analysis.
Cartesian coordinates (Å):
1 Cr -1.0490 -1.7488 21.9808  1.19
2 S -2.8708 -5.6001 23.8545  -0.25
3 C -2.3896 -4.9805 22.4174  -0.22
4 S -2.9105 -3.4649 21.7280  -0.39
5 C -1.4525 -5.7438 21.5743  -0.55
6 C -1.5510 -5.6761 20.1400  0.35
7 N -1.4847 -5.6148 18.9668  -0.50
8 C -0.5338 -6.7334 22.0829  0.35
9 N 0.1929 -7.5809 22.4457  -0.47
10 Cl -4.1719 3.5440 19.0008  -0.01
11 C -2.9334 2.6482 19.8054  -0.10
12 C -2.1844 3.2840 20.8443  -0.16
13 Cl -2.1759 4.9695 21.1185  0.00
14 C -1.6135 2.4216 21.8277  -0.17
15 Cl -1.1286 2.9656 23.4004  -0.03

"Sir?" Narpunzel choked out the word.

"I am Sir Lee." He gave Narpunzel thumbs up and a smile. Then, he quickly grabbed back onto Narpunzel's hair.

Narpunzel realized with a panic that Sir Lee was wearing orange leg warmers.

He panicked. He shook his hair and tried to knock Sir Lee off.

"Whoa! Be careful! I could fall!" Lee laughed but held firm.

Narpunzel looked around for anything he could use to get rid off Lee. Being a prisoner, he wasn't given much in the way of weaponry. He had a dinner knife…but that seemed a bit harsh. He threw his pillow out the window.

"Hey, you dropped your pillow!" Lee held it in his hand.

Narpunzel yelled, "I know!" as he tossed a chair out.

"I am sorry. I cannot hold it all. I am afraid I dropped your pillow."

Narpunzel threw a plate. Still, Lee held firm.

Narpunzel held his breath as he did the last thing he could think of. He grabbed the dinner knife and… cut his hair.

"Whoa!" Lee yelled.

Narpunzel breathed a sigh of relief. He reached a hand up to touch his hair. He felt strange, lighter without his long locks.


Narpunzel turned in disbelief to see Lee clinging to and trying to climb into the window.

Narpunzel ran to the window and placed both hands on Lee's head. He shoved Lee as hard as he could.

"Hey, what are you doing?"

Narpunzel put a foot on Lee's head as well and grunted as he pushed him.

"Wait-hey!" Lee fell.

Boom Lee hit the ground. "I'm okay!"

Narpunzel glanced at the emerald necklace that had come off of Lee's neck. "You can have this back!" He threw the necklace out the window.

Narpunzel looked at himself in the mirror. His hair was frayed from the quick cut and his fingernails were broken. He sighed.

lol. i told you it was weird but please, continue. ;) and, lol, i WILL NOT call him Narpunzel in the second chapter. in fact, i refuse to do so.